ArrayFire binary installation instructions

Installing ArrayFire couldn't be easier. We ship installers for Windows, OSX, and Linux. Although you could build ArrayFire from source, we suggest using our pre-compiled binaries as they include the Intel Math Kernel Library to accelerate linear algebra functions.

Please note that although our download page requires a valid login, registration is free and downloading ArrayFire is also free. We request your contact information so that we may notify you of software updates and occasionally collect user feedback about our library.

In general, the installation process for ArrayFire looks like this:

  1. Install prerequisites
  2. Download the ArrayFire installer for your operating system
  3. Install ArrayFire
  4. Test the installation
  5. Where to go for help?

Below you will find instructions for


If you wish to use CUDA or OpenCL please ensure that you have also installed support for these technologies from your video card vendor's website.

Next download and run the ArrayFire installer. After it has completed, you need to add ArrayFire to the path for all users.

  1. Open Advanced System Settings:
    • Windows 8: Move the Mouse pointer to the bottom right corner of the screen, Right click, choose System. Then click "Advanced System Settings"
    • Windows 7: Open the Start Menu and Right Click on "Computer". Then choose Properties and click "Advanced System Settings"
  2. In Advanced System Settings window, click on Advanced tab
  3. Click on Environment Variables, then under System Variables, find PATH, and click on it.
  4. In edit mode, append AF_PATH%/lib. NOTE: Ensure that there is a semi-colon separating AF_PATH%/lib from any existing content (e.g. EXISTING_PATHS;AF_PATH%/lib;) otherwise other software may not function correctly.

Finally, verify that the path addition worked correctly. You can do this by:

  1. Open Visual Studio 2013. Open the HelloWorld solution which is located at AF_PATH%/examples/helloworld/helloworld.exe.
  2. Build and run the helloworld example. Be sure to, select the platform/configuration of your choice using the platform drop-down (the options are CPU, CUDA, and OpenCL) and Solution Configuration drop down (options of Release and Debug) menus. Run the helloworld example


Debian 8

First install the prerequisite packages:

# Prerequisite packages:
apt-get install libfreeimage-dev libatlas3gf-base libfftw3-dev libglew-dev libglewmx-dev libglfw3-dev cmake

# Enable GPU support (OpenCL):
apt-get install ocl-icd-libopencl1

If you wish to use CUDA, please download the latest version of CUDA and install it on your system.

Next download ArrayFire. After you have the file, run the installer.

./arrayfire_* --exclude-subdir --prefix=/usr/local

RedHat, Fedora, and CentOS

First install the prerequisite packages:

# Install prerequiste packages
yum install freeimage atlas fftw libGLEW libGLEWmx glfw cmake

On Centos and Redhat the glfw package is outdated and you will need to compile it from source. Please these instructions.

If you wish to use CUDA, please download the latest version of CUDA and install it on your system.

Next download ArrayFire. After you have the file, run the installer.

./arrayfire_* --exclude-subdir --prefix=/usr/local

Ubuntu 14.04 and later

First install the prerequisite packages:

# Prerequisite packages:
sudo apt-get install libfreeimage-dev libatlas3gf-base libfftw3-dev cmake

Ubuntu 14.04 will not have the libglfw3-dev package in its repositories. You can either build the library from source (following the instructions listed here) or install the library from a PPA as follows:

sudo apt-add-repository ppa:keithw/glfw3
sudo apt-get update
sudo apt-get install glfw3

After this point, the installation should proceed identically to Ubuntu 14.10 or newer.

If your system has a CUDA GPU, we suggest downloading the latest drivers from NVIDIA in the form of a Debian package and installing using the package manager. At present, CUDA downloads can be found on the NVIDIA CUDA download page Follow NVIDIA's instructions for getting CUDA set up.

If you wish to use OpenCL, simply install the OpenCL ICD loader along with any drivers required for your hardware.

# Enable GPU support (OpenCL):
apt-get install ocl-icd-libopencl1

Special instructions for Tegra K1

If you are using ArrayFire on the Tegra K1 also install these packages:

sudo apt-get install libatlas3gf-base libatlas-dev libfftw3-dev liblapacke-dev

In addition to these packages, you will need to compile GLFW3 from source using the instructions above.

Finally, download ArrayFire. After you have the file, run the installer using:

./arrayfire_* --exclude-subdir --prefix=/usr/local


On OSX there are several dependencies that are not integrated into the operating system. The ArrayFire installer automatically satisfies these dependencies using Homebrew. If you don't have Homebrew installed on your system, the ArrayFire installer will ask you do to so.

Simply download the ArrayFire installer and double-click it to carry out the installation.

ArrayFire can also be installed through Homebrew directly using brew install arrayfire; however, it will not include MKL acceleration of linear algebra functions.

Testing installation

After ArrayFire is installed, you can build the example programs as follows:

[Records of crystals that have nothing to do with the entry]
# 1
VASP calculation (GGA+U) on a relaxed MgCr2O4 crystal.

Geometry as POSCAR:
```
MgCr2O4
1.0
4.9785 0.0000 0.0000
0.0000 2.9633 0.0000
-0.2422 0.0000 5.0096
Mg Cr O
1 2 4
Direct
0.0000 0.0000 0.0000
0.0000 0.0000 0.5000
0.5000 0.5000 0.0000
0.1548 0.5000 0.2608
0.3179 0.0000 0.7895
0.6821 0.0000 0.2105
0.8452 0.5000 0.7392
```

Calculated values
Space group: P2/m
Offset from the most stable computed form, eV/atom: 0.322
Formation enthalpy at 0 K, eV per atom: -2.31


# 2
VASP calculation (GGA+U) on a relaxed SrLaTiFeO6 crystal.

Geometry as POSCAR:
```
SrLaTiFeO6
1.0
0.0000 3.0945 8.8632
3.0885 0.0000 8.8632
3.0885 3.0945 0.0000
Sr La Ti Fe O
1 1 1 1 6
Direct
0.0000 0.0000 0.0000
0.6147 0.6147 0.3853
0.3076 0.3076 0.6924
0.8097 0.8097 0.1903
0.0009 0.4970 0.9991
0.0639 0.0639 0.4361
0.1243 0.6107 0.3893
0.4970 0.0009 0.5030
0.5639 0.5639 0.9361
0.6107 0.1243 0.8757
```

Calculated values
Space group: Fmm2
Offset from the most stable computed form, eV/atom: 0.165
Formation enthalpy at 0 K, eV per atom: -2.99


# 3
VASP calculation (GGA+U) on a relaxed V2GeO4F2 crystal.

Geometry as POSCAR:
```
V2GeO4F2
1.0
9.5038 0.0000 0.0000
0.0000 9.1485 0.0000
0.0000 0.0000 4.9776
V Ge O F
8 4 16 8
Direct
0.1298 0.0840 0.0958
0.1298 0.4160 0.0958
0.3702 0.5840 0.5958
0.3702 0.9160 0.5958
0.6298 0.0840 0.4042
0.6298 0.4160 0.4042
0.8702 0.5840 0.9042
0.8702 0.9160 0.9042
0.0619 0.7500 0.3954
0.4381 0.2500 0.8954
0.5619 0.7500 0.1046
0.9381 0.2500 0.6046
0.0078 0.5905 0.2146
0.0078 0.9095 0.2146
0.0263 0.2500 0.2901
0.2484 0.7500 0.4502
0.2516 0.2500 0.9502
0.4737 0.7500 0.7901
0.4922 0.0905 0.7146
0.4922 0.4095 0.7146
0.5078 0.5905 0.2854
0.5078 0.9095 0.2854
0.5263 0.2500 0.2099
0.7484 0.7500 0.0498
0.7516 0.2500 0.5498
0.9737 0.7500 0.7099
0.9922 0.0905 0.7854
0.9922 0.4095 0.7854
0.2486 0.5640 0.9113
0.2486 0.9360 0.9113
0.2514 0.0640 0.4113
0.2514 0.4360 0.4113
0.7486 0.5640 0.5887
0.7486 0.9360 0.5887
0.7514 0.0640 0.0887
0.7514 0.4360 0.0887
```

Calculated values
Space group: Pnma
Formation enthalpy at 0 K, eV per atom: -2.63


# 4
VASP calculation (GGA+U) on a relaxed KFe3S2O14 crystal.

Geometry as POSCAR:
```
KFe3S2O14
1.0
3.4997 2.0205 6.4849
-3.4997 2.0205 6.4849
0.0000 -4.0411 6.4849
K Fe S O
1 3 2 14
Direct
0.0000 0.0000 0.0000
0.5138 0.9972 0.9972
0.9972 0.5138 0.9972
0.9972 0.9972 0.5138
0.2972 0.2972 0.2972
0.7043 0.7043 0.7043
0.1144 0.7292 0.7292
0.1540 0.1540 0.5044
0.1540 0.5044 0.1540
0.2513 0.2513 0.9173
0.2513 0.9173 0.2513
0.3715 0.3715 0.3715
0.4985 0.8475 0.8475
0.5044 0.1540 0.1540
0.6299 0.6299 0.6299
0.7292 0.1144 0.7292
0.7292 0.7292 0.1144
0.8475 0.4985 0.8475
0.8475 0.8475 0.4985
0.9173 0.2513 0.2513
```

Calculated values
Space group: R3m
Formation enthalpy at 0 K, eV per atom: -1.39


# 5
VASP calculation (GGA+U) on a relaxed MgMnCd6O8 crystal.

Geometry as POSCAR:
```
MgMnCd6O8
1.0
0.0000 4.7107 4.7107
4.7107 0.0000 4.7107
4.7107 4.7107 0.0000
Mg Mn Cd O
1 1 6 8
Direct
0.0000 0.0000 0.0000
0.5000 0.5000 0.5000
[The entry goes on]

cp -r /usr/local/share/ArrayFire/examples .
cd examples
mkdir build
cd build
cmake ..

Getting help